VII. State Revenues and Appropriated Loan Receivables

Guide to Financial Operations

_These molecular data were left in the page by mistake_
┌──
Record 1
Below is a structure of composition C19H51N2O2PdS3SbSi4, with properties calculated with ωB97M-V/def2-TZVPD.

Structure (XYZ):
```
83
Properties=species:S:1:pos:R:3
Sb -0.4124 1.7596 0.3766
Pd -0.0065 -0.7577 0.5704
S 1.2765 -2.6910 1.5130
S 2.8718 -5.0369 0.5829
S -2.8278 -2.6757 -0.6009
Si -1.2835 -0.7898 2.4589
Si 1.5464 2.5750 1.8195
Si 1.8183 0.0778 -2.4640
Si -2.1198 3.2588 1.5413
O 0.7274 -0.5919 -1.5280
O 3.1023 -2.5737 -0.3156
N -1.2568 -3.8547 -2.4724
N -1.9329 -1.6710 -2.8701
C 2.5078 -1.1113 -3.7880
C -1.5476 5.0413 1.2317
C -2.5343 3.1776 3.3875
C 2.4720 -3.4075 0.5355
C 4.1717 -3.0864 -1.0992
C 1.1641 3.3888 3.4939
C -0.6210 0.1185 3.9859
C -1.2455 -1.6899 -4.1484
C -2.0009 -2.7195 -2.0449
C 2.4594 3.9451 0.8787
C -3.7712 3.1641 0.6147
C 1.1495 1.5560 -3.4579
C 0.1327 -3.7511 -1.9767
C -2.4483 -0.3751 -2.4569
C -3.0989 -0.2595 2.2695
C -1.5183 -2.5772 3.0649
C 2.7595 1.1966 2.2126
C 3.3501 0.7513 -1.5833
C -1.8468 -5.1295 -2.0944
H -0.9394 -2.7016 -4.3854
H -1.2491 -5.9225 -2.5506
H 0.3745 -0.2551 4.2500
H 3.8228 -3.8616 -1.7827
H 4.1313 1.0426 -2.2972
H 3.1095 -1.8996 -3.3326
H 3.4896 1.5467 2.9538
H 3.0928 1.6330 -0.9917
H 2.8131 3.5897 -0.0914
H -1.3976 5.2005 0.1594
H 3.7486 0.0009 -0.8994
H -3.2814 3.9503 3.6130
H -1.9189 -3.2058 2.2653
H 0.7587 -4.4555 -2.5307
H 0.7697 2.6653 4.2109
H 0.4587 4.2203 3.4213
H 1.7124 -1.6050 -4.3562
H -2.9422 2.2087 3.6802
H -2.0071 0.3900 -3.0941
H 1.9572 2.1009 -3.9636
H -0.5419 1.1881 3.7913
H 4.5581 -2.2337 -1.6526
H 0.6368 2.2417 -2.7769
H -3.5402 -0.3482 -2.5338
H -0.6044 5.2714 1.7338
H -3.5505 -0.7784 1.4204
H -2.8684 -5.1976 -2.4703
H -4.2931 2.2171 0.7775
H 0.5002 -2.7300 -2.1045
H -2.3054 5.7524 1.5858
H 3.1411 -0.5657 -4.4995
H 3.3219 4.3134 1.4489
H -0.3710 -1.0421 -4.0975
H 0.1828 -3.9872 -0.9073
H 0.4278 1.2486 -4.2235
H -1.9187 -1.3093 -4.9241
H 3.2974 0.8631 1.3230
H 1.7850 4.7871 0.6909
H -1.2830 -0.0282 4.8505
H 2.2431 0.3206 2.6001
H -3.2113 0.8114 2.0966
H 4.9444 -3.5164 -0.4622
H -2.1584 -0.1773 -1.4292
H -0.5929 -3.0393 3.4111
H -4.4318 3.9805 0.9333
H -1.6520 3.3694 4.0041
H -3.5952 3.2653 -0.4609
H -3.6617 -0.5205 3.1763
H 2.1057 3.7818 3.8992
H -2.2399 -2.5633 3.8941
H -1.8639 -5.2778 -1.0096
```

For the total energy, the calculation gives -101646.4626 eV. The total charge is -2. The energy relative to the best compared isomer or geometry (same formula, charge and spin) comes out at 106.8 kJ/mol. The calculation puts the LUMO energy at 0.16948 Eh. The value obtained for the frontier orbital gap is 5.894 eV.

***

Record 2
Below is an isolated molecule of C5H10O at a distorted geometry, with properties calculated with ωB97M-V/def2-TZVPD.

Structure (XYZ):
```
16
Properties=species:S:1:pos:R:3
O 1.2960 1.6000 -0.5590
C 0.3376 -0.1829 0.5274
C -1.4054 0.6166 -1.0425
C 1.3857 0.1738 -0.5161
C 0.2248 -1.4663 1.3013
C -0.7454 0.6185 0.3107
H 1.1585 -0.1974 -1.5210
H 2.4214 -0.0993 -0.2726
H -0.4521 -1.3898 2.1594
H 1.1530 -1.9645 1.5954
H -1.6795 1.5470 -1.5386
└──

VII.9 Overview

VII. State Revenues and Appropriated Loan Receivables
Guide to Financial Operations

Fringe Benefits and Indirect Costs will be paid from Federal and other dedicated revenue funds of the State.

[Next to the entry, the page also holds molecular data]
'''
C34H56MnN2O2P3 as an isolated structure in a non-equilibrium geometry. Source: the OMol25 dataset; level of theory: ωB97M-V/def2-TZVPD.

The calculated total energy is -102402.01403 eV. The calculation puts the LUMO energy (alpha / beta) at -11.806 / -11.862 eV. Its spin multiplicity is 4. The value obtained for the relative energy (zero: lowest compared OMol25 entry of this formula, charge and spin) is 50.17 kcal per mole. Its net charge is +3. Its HOMO-LUMO gap (alpha / beta) is 5.2593 / 5.2264 eV.

The geometry in XYZ format:
```
98
Properties=species:S:1:pos:R:3:forces:R:3:lowdin_spin:R:1
C 1.760406 1.305035 1.799073 -1.32 -1.21 0.13 0.006
C 1.627202 2.106555 -0.441404 -0.99 0.09 -0.02 0.005
C 2.539568 2.401284 2.152737 0.51 0.95 0.21 -0.008
C 2.624930 3.029943 -0.156623 0.27 0.19 -0.61 -0.005
C 3.019372 3.235670 1.154359 0.18 -0.06 0.97 0.009
H 2.733253 2.573902 3.227556 0.15 -0.07 -0.82 0.000
H 3.076855 3.603229 -0.956017 -0.24 0.24 -0.02 0.000
H 3.673350 4.059880 1.410014 0.08 -0.04 -0.08 0.000
N 1.258275 1.180872 0.547857 0.02 0.82 0.39 -0.014
P 0.747629 -1.296825 2.199626 0.06 -0.07 0.69 -0.040
P -0.664174 1.164223 -1.792626 0.48 0.30 -0.14 -0.011
C 1.354934 0.293264 2.912698 0.33 0.66 -0.31 -0.003
H 2.188904 0.099483 3.624262 -0.32 0.31 -0.65 -0.001
H 0.556983 0.735497 3.546913 0.30 -0.07 -0.56 0.000
C -1.479982 -1.403084 -0.014411 -8.07 -5.20 -1.23 -0.035
O -2.454392 -2.078289 -0.168356 5.72 3.59 0.91 0.000
C 0.840577 2.231204 -1.684039 2.39 -5.64 0.84 -0.018
H 1.416730 2.270185 -2.615097 -0.05 1.33 0.28 -0.002
C -0.917167 0.331857 -3.559156 0.07 0.37 -0.32 -0.002
C -1.431957 2.922554 -1.616597 -0.27 0.30 0.34 0.000
C 2.339924 -2.323575 2.117983 -0.13 -0.10 -0.17 -0.004
C -0.483341 -1.936510 3.501581 0.14 -0.06 -0.31 -0.005
C -1.122957 -1.191638 -3.457880 0.05 -0.06 0.61 -0.001
H -1.967695 -1.437913 -2.803019 0.11 -0.05 -0.21 0.000
H -1.346450 -1.573789 -4.470804 0.05 0.28 0.44 0.000
H -0.234557 -1.720447 -3.098829 -0.25 0.13 -0.08 0.000
C -2.179276 0.894488 -4.218521 -0.13 0.21 0.00 0.000
H -3.053386 0.687492 -3.589076 0.10 0.09 -0.26 0.000
H -2.106208 1.969841 -4.417427 -0.06 -0.24 -0.01 0.000
H -2.347160 0.387338 -5.181568 0.19 0.12 0.31 0.000
C 0.321785 0.571397 -4.416405 0.23 0.11 -0.08 -0.001
H 0.162152 0.094322 -5.399998 0.17 0.08 0.44 0.000
H 0.511239 1.630202 -4.626694 -0.01 -0.11 0.04 0.000
H 1.206556 0.125734 -3.931758 -0.20 0.16 -0.42 0.000
C -2.935548 2.812631 -1.771549 -0.56 -0.19 -0.16 -0.001
H -3.321247 2.031402 -1.105975 -0.02 0.28 -0.08 0.000
H -3.372635 3.782656 -1.493018 0.06 -0.21 -0.07 0.000
H -3.220038 2.583481 -2.801877 -0.03 0.22 0.39 0.000
C -1.129222 3.422413 -0.184586 -0.02 -0.02 0.17 0.001
H -1.500389 2.697339 0.559097 -0.08 0.32 -0.22 0.001
H -0.064524 3.592682 0.006906 -0.38 0.15 -0.02 0.000
H -1.618340 4.395267 -0.033077 -0.05 -0.32 -0.09 0.000
C -0.773508 3.791349 -2.721359 -0.05 0.12 -0.50 -0.002
H -0.118565 3.247763 -3.426085 -0.65 0.28 0.19 0.000
H -1.538824 4.249564 -3.360660 0.18 0.23 0.32 -0.001
'''
[End of the molecular data]

Fringe Benefits costs refer to those disbursements incurred by the State for the benefit of its employees and includes the costs to the State, as an employer, for Retirement plans, Social Security, Health Insurance, Dental Insurance, Worker's Compensation, Survivor's Benefits, Unemployment Insurance and the State's contribution to the Employee Benefit Funds pursuant to agreements with the various bargaining units.

Indirect costs are agency or central service agency costs that cannot be directly associated with the administration of a particular program and therefore cannot be charged as a direct program expense. Indirect costs include, but are not limited to, physical overhead, space occupancy, utilities, information technology and central service agency (e.g. OSC, OGS, Civil Service, Budget, General Services, etc.) costs.

Statutory Authority

Statutory authority for assessing, collecting and making payments from funds of the State are included in various statutes of the State. Generally these provide that whenever the compensation of an employee is paid from Federal and other dedicated revenue funds of the State, fringe benefits and a proportionate share of administrative costs associated with the administration of benefits which would otherwise be chargeable to the State's General Fund, shall, with approval of the Budget Director, be paid from such Federal and other dedicated revenue funds. Employee fringe benefit and indirect costs of the General Fund are paid from general state charge appropriations provided annually and are not subject to the special assessment procedures described herein.

Comptroller’s Authority to Assess and Collect Section 8-b State Finance Law
Retirement Section 16(c) Retirement and Social Security Law
Social Security Section 138-a Retirement and Social Security Law
Health Insurance Section 168-1 and 2 Civil Service Law
Worker’s Compensation Section 88-a Workmen’s Compensation Law
Survivor’s Benefits Section 154-8 Civil Service Law
Unemployment Insurance Section 580 Labor Law
Employee Benefit Funds Section 6(f) State Finance Law

Quantum chemistry results that have nothing to do with the piece:
┌──
{"formula": "C24H78N8O15", "method": "ωB97M-V/def2-TZVPD", "elements": ["O", "C", "H", "H", "H", "H", "O", "H", "C", "N", "H", "O", "H", "H", "H", "O", "H", "N", "N", "O", "H", "H", "H", "H", "C", "H", "C", "H", "O", "H", "N", "H", "H", "H", "C", "O", "C", "C", "O", "H", "H", "N", "H", "H", "H", "H", "H", "H", "H", "H", "H", "C", "O", "O", "N", "H", "C", "H", "H", "H", "H", "H", "C", "H", "H", "H", "H", "H", "C", "H", "H", "C", "C", "H", "C", "C", "O", "H", "H", "H", "H", "C", "H", "H", "C", "N", "O", "H", "H", "H", "H", "N", "H", "H", "H", "C", "H", "H", "H", "H", "C", "C", "O", "H", "H", "C", "H", "H", "H", "H", "H", "O", "H", "H", "H", "H", "H", "H", "C", "H", "C", "H", "H", "O", "C"], "coordinates": [[-2.79160, -2.60226, 1.71172], [-2.65209, 2.73090, -1.69043], [-3.62184, 1.04052, 0.97203], [-3.10312, 1.16101, 2.93403], [-2.18671, 3.69012, -1.78651], [2.50986, -2.29866, -1.43920], [-1.01959, 2.99332, -4.74664], [-1.99731, 6.20331, 2.12276], [-0.46554, -2.71215, -2.65437], [2.49061, 2.24252, -1.34837], [2.93774, -2.64797, 0.45426], [-0.09501, -3.76786, 2.81174], [-0.52047, 2.27727, -5.13030], [-1.94591, 2.10997, -2.21223], [-0.68121, 0.52312, -3.19977], [1.67763, -4.14325, 0.16756], [1.57830, -6.15257, 0.32591], [-5.86683, -0.29468, 3.22843], [-1.62100, -5.07145, 1.86342], [4.37470, -2.24294, -2.43599], [-0.24116, 5.39144, -5.36796], [1.57174, 0.56774, -4.96745], [4.53318, -0.71131, 1.72759], [-3.58120, 2.63073, -2.15024], [2.96057, -2.20600, -2.44253], [0.77966, -0.01278, -2.63392], [3.46316, -5.43553, -0.58459], [0.88466, 3.64274, -4.17587], [-3.52924, 1.15154, 0.01540], [1.03275, -6.01381, 3.38959], [2.92478, 4.08616, -2.35384], [2.07817, 0.74307, 3.69058], [4.39047, 0.81948, 0.17223], [-1.99313, -5.93666, 1.47737], [-0.50989, 5.28509, -4.40756], [0.57097, 0.45392, -4.83465], [3.73681, -0.97269, 1.05024], [2.06445, 3.50077, -1.58190], [-0.85992, 4.86145, 0.71250], [-1.72495, -3.23757, -4.43690], [2.90081, -0.67126, 1.63399], [-4.05699, 0.85206, 2.77780], [-0.69349, -1.98174, 3.08520], [0.72031, 6.01681, 1.31746], [0.34062, 0.99454, 5.38260], [4.97838, -0.52484, -0.61794], [3.37138, -0.13924, -0.91475], [2.59301, 4.17483, 2.60673], [3.16380, 1.78863, -1.98780], [-1.16657, 0.10630, 1.00439], [-1.35514, 0.59886, 5.23461], [0.34613, 0.62848, -3.40487], [0.16063, 1.19614, -0.19127], [1.23498, -0.74413, 3.76816], [-0.02211, -6.06804, 3.03387], [1.04979, -1.42098, -0.18222], [-3.51958, -3.40516, -0.43548], [1.96949, 1.66085, -0.72759], [-1.95210, 2.57675, 0.25154], [-2.16623, -4.16758, 1.70392], [-4.50742, -1.97465, 0.75601], [3.89531, 3.13420, 1.81129], [-0.54574, 0.07129, 0.11677], [-0.78437, 7.47583, 2.09338], [-3.97580, -4.40452, -0.04605], [-0.12066, -2.04781, 0.93533], [1.36485, -5.52701, -1.32550], [0.57241, 1.62278, -3.19273], [-1.58906, -2.51907, -3.62412], [-0.26395, 4.51068, 0.04353], [4.64522, -1.60906, -1.74439], [-3.50272, -2.27501, 0.56883], [2.81604, 3.40293, 1.93197], [2.58425, 4.97738, -2.77194], [-0.08057, 5.48053, 1.73725], [-4.59251, -0.28108, 3.21467], [-0.47827, -3.90904, -1.92265], [0.44307, -2.76242, -3.16955], [-4.15193, -3.12643, -1.27480], [-3.52510, 3.24638, 0.11659], [-2.97647, -1.39034, 0.26755], [1.92726, -5.42260, -0.42415], [-1.97260, -1.15532, 3.89476], [-2.55591, -2.42962, -3.02433], [4.12416, -0.16557, -0.13558], [-0.39274, 0.55299, 4.80338], [-3.82611, -1.33208, 3.71057], [4.02912, -5.13548, 0.26253], [2.38344, 3.63567, 0.95730], [0.10876, -3.82463, -1.14936], [3.66336, -4.78302, -1.43447], [-1.05581, -1.19052, 3.59277], [-0.37949, 3.49249, -3.01339], [-1.57942, 5.54390, -4.20228], [2.55416, -3.15281, -2.77617], [-0.95543, 6.44710, 2.39598], [0.10115, 6.00356, -3.81182], [-6.33705, -1.17081, 3.59823], [3.93499, 4.01734, -2.07345], [-1.18983, -0.33040, -0.71770], [-2.89060, 2.43835, -0.23647], [-0.60523, -4.98854, 2.61582], [0.96154, 4.20148, -1.13057], [0.87851, -0.86111, 1.39712], [1.88850, -4.31337, 1.03999], [2.09597, 2.13568, 2.31051], [-2.88762, -1.84526, 2.27986], [-0.89029, 6.52494, 3.52167], [1.84913, 1.44653, 1.49683], [-0.20308, -7.03344, 2.67449], [2.58387, -1.50278, -3.12626], [2.68798, 1.49884, 3.42829], [-6.48381, 0.51699, 2.92879], [-1.45214, -1.53509, -4.12648], [-4.65470, 1.61766, 2.36983], [1.06066, 2.41863, 2.54551], [3.90583, -6.42036, -0.88866], [-0.36809, 1.87702, -0.59009], [-0.19940, 3.86586, -4.00418], [-2.56478, -3.76561, -0.76244], [0.34932, -1.11713, 0.53523], [-0.25962, -1.88750, -1.98828], [0.26883, 4.66216, 2.28764], [3.76308, -2.31958, 0.83156], [-0.09215, -0.42749, 4.03157]], "fmax_ev_per_a": 8.03, "e_lumo_ev": -0.192, "e_homo_ev": -8.69, "homo_lumo_gap_ev": 8.50}
└──

Assessment Rates

At the beginning of each fiscal year, the Division of Budget will enter the new fringe benefit and indirect cost standard rates into the State Financial System. Any questions regarding standard or waiver rates should be directed to an agency’s DOB examiner.

In some cases, the federal government may request the negotiation of a separate rate for distinctive programs instead of using the standard rate determined by the Division of Budget. For example, a special rate can be developed for a state-administered program of an organizational unit supported with federal funds. For programs or funds that require a rate other than the standard rate, or require a waiver, agencies should enter a new waiver request in SFS which, once approved at the agency level, will be routed to DOB for further review and final approval. Current and prior fiscal year rates can be found within the State Financial System (SFS) in the following path:

General Ledger/FBIC WorkCenter Dashboard/Reports/Query tabBi-Weekly Allocations

Fringe Benefit and Indirect Cost allocations are based upon personal service (PS) disbursements paid from appropriated funds, except the General Fund and any other fund specifically exempted by the Division of the Budget. The allocation is derived by multiplying the percentage rates by the total personal service disbursements made between each bi-weekly allocation. The allocation looks at the accounting string used on the PS charge and uses the same string for FBIC charges.


If an agency would like their FBIC allocation to charge a different SFS chartstring in the event the allocation journal fails for insufficient cash or for budgetary issues, redirect functionality is available to agencies to use an alternate chartfield combination.

Prior to the beginning of each fiscal year, agencies create a Redirect Set which is unique to a specific GLBU. Multiple Redirects can be created within the Redirect Set. Redirects may be updated or inactivated throughout the fiscal year using Effective Dated rows. When the FBIC process is run it will apply the most recent Effective Dated Redirect row to the charges.

Required Reports

With the implementation of the FBIC Automation Process, agencies have also been given an FBIC WorkCenter Dashboard as a central location for FBIC related information.

To access the FBIC WorkCenter Dashboard, navigate to General Ledger > FBIC WorkCenter Dashboard.

Under the Reports/Query tab, under different links, agencies are able to view their journals in error through Error Reports, and can obtain Transaction Reports, Redirect Reports, Analysis Reports, and Waiver & Standard Reports.

For detail data prior to the FBIC Automation, Agency AP users have been granted access to the Accounts Receivable and General Ledger modules under the SFS Financials menu to allow them to run the NYAR0260 (FBIC Invoice) and the NYGL0442 (FBIC Ledger) reports for their agency. These reports can only be run for data through March 31, 2019 before the new FBIC Allocation was implemented

The NYAR0260 displays all of the FBIC invoice detail by fund of a specific GLBU (customer) during a specific time period.

To run the NYAR0260, navigate to Accounts Receivable > Report > FBIC Invoice. If a run control already exists, navigate to Find an Existing Value. If no run control exists, navigate to Add a New Value, create a Run Control and Save. With the implementation of obligation date on June 1, 2014, a separate invoice date was made available in SFS. Prior to June 1, 2014 the quarter end date was used for invoice date.

When running the report enter the following in the run control,

  • ‘From Date’ –the invoice date of the bill for bills created after June 1, 2014 OR the last day of the quarter for bills created prior to June 1, 2014.
  • ‘To Date’ – should always be 3/30/19 to include all Invoices as of the State’s conversion and cleanup transactions from the FBIC Billing Process to the FBIC Allocation Process.
  • ‘Business Unit’ – Agency GLBU

The NYAR0260 can be viewed in Report Manager once the report run status is “Success”.

The NYGL0442 displays the invoice IDs, billed amounts, paid amounts, any credit/re-bill adjustments and the outstanding amount due by fund for each GLBU (customer) through a specified time period. Each report is located within the Report sub menu of the respective module.

To run the NYGL0442, navigate to General Ledger > General Reports > FBIC Analysis Report. If a run control already exists, navigate to Find an Existing Value. If no run control exists, navigate to Add a New Value, create a Run Control and Save.

When running the report,

  • ‘From Date’ – should always be 3/30/12 to include outstanding balances as of the State’s conversion from the Central Accounting System to SFS.
  • ‘To Date’ – the current date is recommended so that all activity (bills, payments, credit/re-bills) through that date is included
  • ‘Fund’ – leave this field blank to include ALL funds
  • ‘Customer’ – Agency GLBU
  • ‘Project’ – leave this field blank to include ALL projects

The NYGL0442 can be viewed in Report Manager once the report run status is “Success”.

Guide to Financial Operations

REV. 10/09/2019